Chapter 17 Radioactivity and Nuclear Chemistry Flashcards
-- Someone pasted crystal structures at this point --
- - -
Density functional theory data (GGA-PBE) for a geometry-optimized HgGeF3 structure.

```
data_HgGeF3
_cell_length_a 4.565
_cell_length_b 4.565
_cell_length_c 4.565
_cell_angle_alpha 90.00
_cell_angle_beta 90.00
_cell_angle_gamma 90.00
_symmetry_space_group_name_H-M 'P m -3 m'
_symmetry_Int_Tables_number 221
_symmetry_space_group_name_Hall '-P 4 2 3'
loop_
_atom_site_label
_atom_site_type_symbol
_atom_site_fract_x
_atom_site_fract_y
_atom_site_fract_z
_atom_site_occupancy
Hg1 Hg 0.000 0.000 0.000 1
Ge1 Ge 0.500 0.500 0.500 1
F1 F 0.000 0.000 0.500 1
```

Density functional theory data (GGA-PBE) for a geometry-optimized ThSi2Tc4 structure.

```
data_ThSi2Tc4
_cell_length_a 4.170
_cell_length_b 13.774
_cell_length_c 4.123
_cell_angle_alpha 90.00
_cell_angle_beta 90.00
_cell_angle_gamma 90.00
_symmetry_space_group_name_H-M 'C m m m'
_symmetry_Int_Tables_number 65
_symmetry_space_group_name_Hall '-C 2 2'
loop_
_atom_site_label
_atom_site_type_symbol
_atom_site_fract_x
_atom_site_fract_y
_atom_site_fract_z
_atom_site_occupancy
Th1 Th 0.000 0.000 0.000 1
Si1 Si 0.000 0.410 0.500 1
Tc1 Tc 0.000 0.189 0.500 1
Tc2 Tc 0.000 0.304 0.000 1
```

# Li2TbCe (GGA-PBE, relaxed)
data_Li2TbCe
_cell_length_a 3.1719
_cell_length_b 3.1719
_cell_length_c 36.0856
_cell_angle_alpha 90.00
_cell_angle_beta 90.00
_cell_angle_gamma 120.00
_symmetry_space_group_name_H-M 'R -3 m'
_symmetry_Int_Tables_number 166
_symmetry_space_group_name_Hall '-R 3 2"'
loop_
_atom_site_label
_atom_site_type_symbol
_atom_site_fract_x
_atom_site_fract_y
_atom_site_fract_z
_atom_site_occupancy
Li1 Li 0.0000 0.0000 0.0880 1
Tb1 Tb 0.0000 0.0000 0.5000 1
Ce1 Ce 0.0000 0.0000 0.0000 1
# - Energy of formation from the pure elements: 1.1 eV per formula unit

# CrIrW (GGA-PBE, relaxed)
data_CrIrW
_cell_length_a 4.2949
_cell_length_b 4.2949
_cell_length_c 2.6877
_cell_angle_alpha 90.00
_cell_angle_beta 90.00
_cell_angle_gamma 120.00
_symmetry_space_group_name_H-M 'P 3 m 1'
_symmetry_Int_Tables_number 156
loop_
_symmetry_equiv_pos_as_xyz
'x,y,z'
'-y,x-y,z'
'-x+y,-x,z'
'-y,-x,z'
'-x+y,y,z'
'x,x-y,z'
loop_
_atom_site_label
_atom_site_type_symbol
_atom_site_fract_x
_atom_site_fract_y
_atom_site_fract_z
_atom_site_occupancy
Cr1 Cr 0.0000 0.0000 0.0000 1
Ir1 Ir 0.6667 0.3333 0.4129 1
W1 W 0.3333 0.6667 0.8228 1
# - Energy of formation from the pure elements: 0.3 eV per formula unit

| no. | calculated volume (Å³/atom) | ΔE to the lowest computed polymorph (eV/atom) | DFT total energy (eV per atom) |
| --- | --- | --- | --- |
| 1 | 19.03 | 0.943 | -2.9820 |
| 2 | 16.92 | 0.000 | -9.1051 |
| 3 | 26.20 | 0.018 | -3.3273 |
| 4 | 14.31 | 0.141 | -10.3816 |

=====

No. 1
Density functional theory data (GGA-PBEsol) for a relaxed Os2PtCF crystal.

Cell lengths 3.962, 3.962, 4.571 Å; angles 90.00, 90.00, 90.00 degrees
Sites, in units of the cell vectors:
C  0.500  0.500  0.500
Os  0.000  0.500  0.000
Os  0.500  0.000  0.000
Pt  0.000  0.000  0.500
F  0.000  0.000  0.000

Summary:
Total energy in eV per atom: -5.79
- - -
-- End of the crystal structures --
the emission of tiny, invisible particles by the nuclei of certain atoms
the atoms that emit particles
long-lived emission of light that sometimes follows the absorption of light by some atoms and molecules
-the glow in glow-in the-dark toys absorb light and re-emits it
Alpha Radiation
- occurs when an unstable nucleus emits a small piece of itself consisting of 2 protons and 2 neutrons
- highest ionization power
- lowest penetrating power
- dangerous when digested/inhaled, not dangerous when outside of body
Nuclear Equation
- an equation that represents the changes that occur during radioactivity and other nuclear processes
- the identity of an element changes
ex) alpha decay of U-238
23492 U → 23090Th +42He
parent daughters
Parent Nuclide
original atom that forms daughter nuclides in a nuclear equation
Daughter Nuclides
the products in the nuclear equation that forms an element + an alpha particle (42He)
Ionizing Power
- the ability of radiation to ionize molecules + atoms
- ionization in living cells causes damage, destruction, or abnormal reproduction
Penetrating Power
- ability to penetrate matter
- the smaller the size of the particle, the higher the penetrating power
(like a semi-truck in a traffic jam, large has low penetrating power)
Alpha Particle
- results from alpha radiation
- composed of 2 protons + 2 neutrons
- symbol is 42He
- largest of all particles emitted by radioactive nuclei
Beta Radiation
- occurs when an unstable nucleus emits an electron by converting a neutron to a proton
- intermediate ionizing power
- intermediate penetrating power
- 1 Neutron→Proton+Electron
22888Ra→22889Ac + 0-1e
Beta Particle
-midsize particles
Gamma Radiation
- electromagnetic radiation
- emits gamma rays usually with the alpha emission
ex) 23892U > 23490Th + 42He + 00y
Gamma Rays
- high energy (short wavelength) photons
- no charge, no mass
- low ionization power
- high penetrating power
symbol is 00y
Positron Emission
- proton changes into a neutron and emits a positron
- intermediate ionizing power
- intermediate penetrating power
ex) 3015P → 3014Si + 0+1e
-has the mass of an electron but carries a positron but carries a 1+ charge
symbol is 0+1e
Thermoluminescent Dosimeters
-radiation detector which are issued to people working w or near radioactive substances
Geiger-Muller Counter
- device that detects radioactivity
- particles emitted by radioactive nuclei pass thru an argon-filled chamber;
energetic particles create a trail of ionized argon atoms
Scintillation Counter
device to detect radiation instantly
-radioactive emission passes thru a material (like NaI or CsI) that emits ultraviolet/visible light in response to the excitation of energetic particles
the time it takes fr half of the parent nuclides in a radioactive sample to decay into daughter nuclides
- short half-lives = high activity (many decay events per unit of time)
- long half-lives = low activity
Radiocarbon Dating
a technique used to estimate the age of fossils and artifacts
Nuclear Fission
splitting of a heavy nucleus to form 2 or more lighter ones + energy
- emits an enormous amount of energy
ex) the nucleus of a neutron-bombarded Uranium had broken apart into Barium, Krypton, + other smaller particles
Critical Mass
the mass required to induce a chain reaction
Nuclear Fusion
- combination of 2 light nuclei to form a heavier one
- emits a large amt of energy
- energy source of stars + sun
- bases of hydrogen bombs
units of radioactivity
3.7x1010 decay events/second
2.58x10-4 C of charge per kg
“roentgen equivalent man”
-human radiation exposure
20-100: decreased WBC count; cancer
100-400: radiation sickness, skin lesions, cancer
500: death
Isotope Scanning
-radioactive isotope is introduced to the body and radiation emitted by the isotope is detected
-gamma rays are focused on internal tumors to kill them